Source:
┌──
No. 1
# C31H31F5I2N2O2PdSb2

A structure of composition C31H31F5I2N2O2PdSb2 (ωB97M-V/def2-TZVPD, the Open Molecules 2025 dataset).

Results
- LUMO level (alpha / beta) (eV) = -5.0 / -8.0
- HOMO-LUMO gap (alpha / beta) (eV) = 7.99 / 5.34
- energy relative to the best compared isomer or geometry (same formula, charge and spin) (kcal per mole) = 0.0

Structure (ORCA input):
```
! RIJCOSX wB97M-V def2-TZVPD def2/J DEFGRID3
* xyz 2 5
Pd 0.0816 0.1503 -0.3552
I 4.4841 -2.0905 5.4229
C 2.9538 -1.3830 4.2772
C 2.3185 -0.1787 4.6258
C 1.2877 0.2965 3.8613
I 0.3568 2.0726 4.3174
C 0.8408 -0.4274 2.6857
O -0.1120 -0.0120 1.9913
C 1.5450 -1.6495 2.3325
C 1.0813 -2.4327 1.1388
N 1.2389 -1.7378 -0.1626
C 2.6333 -1.3785 -0.4870
C 3.0259 -0.0863 0.1862
C 4.2649 0.1178 0.7677
C 4.5454 1.3542 1.3296
C 3.5806 2.3499 1.2976
C 2.3641 2.0681 0.7038
N 2.0968 0.8790 0.1587
C 2.5507 -2.1072 3.1283
H 2.6497 0.3647 5.5002
H 0.0210 -2.6763 1.2411
H 1.6391 -3.3730 1.1039
H 0.8986 -2.3676 -0.8817
H 2.6766 -1.2316 -1.5694
H 3.3303 -2.1809 -0.2307
H 4.9947 -0.6802 0.7812
H 5.5066 1.5384 1.7905
H 3.7596 3.3254 1.7255
H 1.5726 2.8071 0.6620
H 3.0567 -3.0344 2.8903
C 0.7666 3.1758 -3.1590
Sb -0.1425 1.2861 -2.8439
C 0.6232 0.2092 -4.4960
C -2.1277 1.5905 -3.5902
C -2.9061 2.7269 -2.9945
C -2.5953 4.0184 -3.4305
C -3.2688 5.1326 -2.9655
C -4.3055 4.9759 -2.0542
C -4.6418 3.7047 -1.6297
C -3.9529 2.5724 -2.0751
C -4.3804 1.2535 -1.5186
Sb -3.5926 1.1334 0.5101
C -1.8545 2.3331 0.4777
C -3.3214 -0.4349 1.9128
H 0.3577 3.9213 -2.4805
H 0.5829 3.4801 -4.1882
H 1.8394 3.0856 -2.9996
H -0.0144 -0.6481 -4.6970
H 1.6346 -0.1377 -4.2960
H 0.6305 0.8743 -5.3582
H -2.6271 0.6254 -3.5297
H -1.9395 1.7948 -4.6465
H -1.8203 4.1453 -4.1769
H -3.0058 6.1151 -3.3329
H -4.8592 5.8329 -1.6973
H -5.4706 3.5765 -0.9419
H -4.0044 0.3700 -2.0164
H -5.4592 1.1918 -1.4006
H -1.6244 2.7490 1.4548
H -2.0021 3.1160 -0.2652
H -1.0076 1.7107 0.1526
H -4.1985 -1.0738 1.8866
H -3.2213 0.0352 2.8887
H -2.4183 -0.9705 1.6397
F -3.5341 -5.2119 -3.2393
C -3.1689 -4.0721 -2.6769
C -4.0282 -3.3837 -1.8354
F -5.2368 -3.8597 -1.5851
C -3.6305 -2.1944 -1.2475
F -4.5352 -1.5803 -0.4532
C -2.3715 -1.6148 -1.4447
O -2.0156 -0.4580 -0.8860
C -1.5514 -2.3342 -2.3184
F -0.3188 -1.8554 -2.6383
C -1.9204 -3.5277 -2.9156
F -1.0625 -4.1390 -3.7242
*
```

---

No. 2
# C31H31HgN9O5S3

A structure of composition C31H31HgN9O5S3 (ωB97M-V/def2-TZVPD, the Open Molecules 2025 dataset).

Results
- LUMO level (alpha / beta) (eV) = 1.9 / 1.7
- HOMO-LUMO gap (alpha / beta) (eV) = 5.36 / 5.42
- energy relative to the best compared isomer or geometry (same formula, charge and spin) (kcal per mole) = 71.2

Structure (ORCA input):
```
! RIJCOSX wB97M-V def2-TZVPD def2/J DEFGRID3
* xyz -1 2
Hg -0.6379 0.6002 0.3065
N 4.5606 2.1040 -1.3485
C 3.4890 2.0310 -2.1813
N 2.2669 2.4865 -1.7927
C 1.4520 2.5282 -2.9117
C 2.1011 2.2154 -4.0584
S 3.7080 1.6191 -3.8531
C 0.0849 3.0285 -2.8937
C -0.8020 2.8566 -3.9226
S -2.2638 3.7378 -3.7393
C -1.6419 4.1510 -2.0691
N -0.3634 3.8034 -1.8216
N -2.3460 4.9899 -1.3200
H 4.4420 2.5300 -0.4252
H 5.4788 1.9057 -1.6613
H 1.6958 2.1465 -5.0552
H -0.6819 2.2013 -4.7929
H -3.2758 5.2877 -1.6210
H -1.9693 5.2200 -0.4025
C 3.0927 -2.5154 4.6746
C 2.3431 -1.2077 4.8817
N 2.3474 -0.4309 3.5617
C 3.5616 0.4193 3.3227
C 4.6517 -0.2596 2.4807
C 1.2872 -0.5763 2.7233
S 1.5131 0.2205 1.1748
N 0.2090 -1.1790 3.1000
C -0.5644 -1.9616 2.2732
O -0.2574 -2.4064 1.1535
C -1.8636 -2.3641 2.8955
C -2.3203 -1.7879 4.0664
C -3.5715 -2.0818 4.5504
C -4.4713 -2.9867 3.9295
C -3.9443 -3.6461 2.7735
C -2.6954 -3.3124 2.2373
H 2.8199 -3.2715 5.3971
H 4.1794 -2.3647 4.7417
H 2.8365 -2.9628 3.7010
H 2.8407 -0.5237 5.6038
H 1.3053 -1.3703 5.1925
H 3.8857 0.6906 4.3305
H 3.1908 1.3225 2.8024
H 4.7779 -1.3437 2.6854
H 5.5970 0.2115 2.6140
H 4.4460 -0.2071 1.4034
H -1.7740 -0.9774 4.5292
H -3.8546 -1.6485 5.5270
H -5.4769 -3.1396 4.3381
H -4.4961 -4.4529 2.2977
H -2.2547 -3.7245 1.3333
O 4.3147 -3.2420 -4.7492
└──

Job:
Copy everything further up word for word, please.

Done:
No. 1
# C31H31F5I2N2O2PdSb2

A structure of composition C31H31F5I2N2O2PdSb2 (ωB97M-V/def2-TZVPD, the Open Molecules 2025 dataset).

Results
- LUMO level (alpha / beta) (eV) = -5.0 / -8.0
- HOMO-LUMO gap (alpha / beta) (eV) = 7.99 / 5.34
- energy relative to the best compared isomer or geometry (same formula, charge and spin) (kcal per mole) = 0.0

Structure (ORCA input):
```
! RIJCOSX wB97M-V def2-TZVPD def2/J DEFGRID3
* xyz 2 5
Pd 0.0816 0.1503 -0.3552
I 4.4841 -2.0905 5.4229
C 2.9538 -1.3830 4.2772
C 2.3185 -0.1787 4.6258
C 1.2877 0.2965 3.8613
I 0.3568 2.0726 4.3174
C 0.8408 -0.4274 2.6857
O -0.1120 -0.0120 1.9913
C 1.5450 -1.6495 2.3325
C 1.0813 -2.4327 1.1388
N 1.2389 -1.7378 -0.1626
C 2.6333 -1.3785 -0.4870
C 3.0259 -0.0863 0.1862
C 4.2649 0.1178 0.7677
C 4.5454 1.3542 1.3296
C 3.5806 2.3499 1.2976
C 2.3641 2.0681 0.7038
N 2.0968 0.8790 0.1587
C 2.5507 -2.1072 3.1283
H 2.6497 0.3647 5.5002
H 0.0210 -2.6763 1.2411
H 1.6391 -3.3730 1.1039
H 0.8986 -2.3676 -0.8817
H 2.6766 -1.2316 -1.5694
H 3.3303 -2.1809 -0.2307
H 4.9947 -0.6802 0.7812
H 5.5066 1.5384 1.7905
H 3.7596 3.3254 1.7255
H 1.5726 2.8071 0.6620
H 3.0567 -3.0344 2.8903
C 0.7666 3.1758 -3.1590
Sb -0.1425 1.2861 -2.8439
C 0.6232 0.2092 -4.4960
C -2.1277 1.5905 -3.5902
C -2.9061 2.7269 -2.9945
C -2.5953 4.0184 -3.4305
C -3.2688 5.1326 -2.9655
C -4.3055 4.9759 -2.0542
C -4.6418 3.7047 -1.6297
C -3.9529 2.5724 -2.0751
C -4.3804 1.2535 -1.5186
Sb -3.5926 1.1334 0.5101
C -1.8545 2.3331 0.4777
C -3.3214 -0.4349 1.9128
H 0.3577 3.9213 -2.4805
H 0.5829 3.4801 -4.1882
H 1.8394 3.0856 -2.9996
H -0.0144 -0.6481 -4.6970
H 1.6346 -0.1377 -4.2960
H 0.6305 0.8743 -5.3582
H -2.6271 0.6254 -3.5297
H -1.9395 1.7948 -4.6465
H -1.8203 4.1453 -4.1769
H -3.0058 6.1151 -3.3329
H -4.8592 5.8329 -1.6973
H -5.4706 3.5765 -0.9419
H -4.0044 0.3700 -2.0164
H -5.4592 1.1918 -1.4006
H -1.6244 2.7490 1.4548
H -2.0021 3.1160 -0.2652
H -1.0076 1.7107 0.1526
H -4.1985 -1.0738 1.8866
H -3.2213 0.0352 2.8887
H -2.4183 -0.9705 1.6397
F -3.5341 -5.2119 -3.2393
C -3.1689 -4.0721 -2.6769
C -4.0282 -3.3837 -1.8354
F -5.2368 -3.8597 -1.5851
C -3.6305 -2.1944 -1.2475
F -4.5352 -1.5803 -0.4532
C -2.3715 -1.6148 -1.4447
O -2.0156 -0.4580 -0.8860
C -1.5514 -2.3342 -2.3184
F -0.3188 -1.8554 -2.6383
C -1.9204 -3.5277 -2.9156
F -1.0625 -4.1390 -3.7242
*
```

---

No. 2
# C31H31HgN9O5S3

A structure of composition C31H31HgN9O5S3 (ωB97M-V/def2-TZVPD, the Open Molecules 2025 dataset).

Results
- LUMO level (alpha / beta) (eV) = 1.9 / 1.7
- HOMO-LUMO gap (alpha / beta) (eV) = 5.36 / 5.42
- energy relative to the best compared isomer or geometry (same formula, charge and spin) (kcal per mole) = 71.2

Structure (ORCA input):
```
! RIJCOSX wB97M-V def2-TZVPD def2/J DEFGRID3
* xyz -1 2
Hg -0.6379 0.6002 0.3065
N 4.5606 2.1040 -1.3485
C 3.4890 2.0310 -2.1813
N 2.2669 2.4865 -1.7927
C 1.4520 2.5282 -2.9117
C 2.1011 2.2154 -4.0584
S 3.7080 1.6191 -3.8531
C 0.0849 3.0285 -2.8937
C -0.8020 2.8566 -3.9226
S -2.2638 3.7378 -3.7393
C -1.6419 4.1510 -2.0691
N -0.3634 3.8034 -1.8216
N -2.3460 4.9899 -1.3200
H 4.4420 2.5300 -0.4252
H 5.4788 1.9057 -1.6613
H 1.6958 2.1465 -5.0552
H -0.6819 2.2013 -4.7929
H -3.2758 5.2877 -1.6210
H -1.9693 5.2200 -0.4025
C 3.0927 -2.5154 4.6746
C 2.3431 -1.2077 4.8817
N 2.3474 -0.4309 3.5617
C 3.5616 0.4193 3.3227
C 4.6517 -0.2596 2.4807
C 1.2872 -0.5763 2.7233
S 1.5131 0.2205 1.1748
N 0.2090 -1.1790 3.1000
C -0.5644 -1.9616 2.2732
O -0.2574 -2.4064 1.1535
C -1.8636 -2.3641 2.8955
C -2.3203 -1.7879 4.0664
C -3.5715 -2.0818 4.5504
C -4.4713 -2.9867 3.9295
C -3.9443 -3.6461 2.7735
C -2.6954 -3.3124 2.2373
H 2.8199 -3.2715 5.3971
H 4.1794 -2.3647 4.7417
H 2.8365 -2.9628 3.7010
H 2.8407 -0.5237 5.6038
H 1.3053 -1.3703 5.1925
H 3.8857 0.6906 4.3305
H 3.1908 1.3225 2.8024
H 4.7779 -1.3437 2.6854
H 5.5970 0.2115 2.6140
H 4.4460 -0.2071 1.4034
H -1.7740 -0.9774 4.5292
H -3.8546 -1.6485 5.5270
H -5.4769 -3.1396 4.3381
H -4.4961 -4.4529 2.2977
H -2.2547 -3.7245 1.3333
O 4.3147 -3.2420 -4.7492